== Assignment ==
Give back everything underneath verbatim, please.
== Excerpt ==
-- begin --
Theoretical powder X-ray diffraction pattern
Compound: Ba2LiSmCoCu2O7
Radiation: CuKα
Structure: a DFT-relaxed cell (GGA+U, the Materials Project)
Neutral-atom scattering factors, no anomalous dispersion.

Structure:
abc: 3.840 4.000 14.238
angles: 90.00 90.00 90.00
Space group Pmm2 (No. 25)
One atom of each set of equivalent atoms:
Ba 0.000 0.000 0.000 [1 per cell]
Ba 0.000 0.000 0.287 [1 per cell]
Li 0.000 0.000 0.556 [1 per cell]
Sm 0.000 0.000 0.740 [1 per cell]
Co 0.500 0.500 0.154 [1 per cell]
Cu 0.500 0.500 0.608 [1 per cell]
Cu 0.500 0.500 0.848 [1 per cell]
O 0.000 0.500 0.611 [1 per cell]
O 0.000 0.500 0.830 [1 per cell]
O 0.500 0.000 0.155 [1 per cell]
O 0.500 0.000 0.616 [1 per cell]
O 0.500 0.000 0.837 [1 per cell]
O 0.500 0.500 0.026 [1 per cell]
O 0.500 0.500 0.285 [1 per cell]

Peak list (10 most intense, 2θ from 5° to 70°, by intensity)
2θ = 6.21°, I = 100
2θ = 32.32°, I = 66
2θ = 34.35°, I = 45
2θ = 33.71°, I = 42
2θ = 12.43°, I = 34
2θ = 29.93°, I = 30
2θ = 29.20°, I = 27
2θ = 45.35°, I = 21
2θ = 56.10°, I = 20
2θ = 58.10°, I = 19
-- stop --
== Solution ==
Theoretical powder X-ray diffraction pattern
Compound: Ba2LiSmCoCu2O7
Radiation: CuKα
Structure: a DFT-relaxed cell (GGA+U, the Materials Project)
Neutral-atom scattering factors, no anomalous dispersion.

Structure:
abc: 3.840 4.000 14.238
angles: 90.00 90.00 90.00
Space group Pmm2 (No. 25)
One atom of each set of equivalent atoms:
Ba 0.000 0.000 0.000 [1 per cell]
Ba 0.000 0.000 0.287 [1 per cell]
Li 0.000 0.000 0.556 [1 per cell]
Sm 0.000 0.000 0.740 [1 per cell]
Co 0.500 0.500 0.154 [1 per cell]
Cu 0.500 0.500 0.608 [1 per cell]
Cu 0.500 0.500 0.848 [1 per cell]
O 0.000 0.500 0.611 [1 per cell]
O 0.000 0.500 0.830 [1 per cell]
O 0.500 0.000 0.155 [1 per cell]
O 0.500 0.000 0.616 [1 per cell]
O 0.500 0.000 0.837 [1 per cell]
O 0.500 0.500 0.026 [1 per cell]
O 0.500 0.500 0.285 [1 per cell]

Peak list (10 most intense, 2θ from 5° to 70°, by intensity)
2θ = 6.21°, I = 100
2θ = 32.32°, I = 66
2θ = 34.35°, I = 45
2θ = 33.71°, I = 42
2θ = 12.43°, I = 34
2θ = 29.93°, I = 30
2θ = 29.20°, I = 27
2θ = 45.35°, I = 21
2θ = 56.10°, I = 20
2θ = 58.10°, I = 19